[Source]
........
(1)
Nd4NiRh | PBE-GGA | relaxed

a = 9.030 Å, b = 13.864 Å, c = 6.398 Å
α = 90.00°, β = 125.19°, γ = 90.00°
Space group C2/c (No. 15)
One atom of each set of equivalent atoms:
Nd 0.143 0.180 0.119 [8 per cell]
Nd 0.196 0.435 0.259 [8 per cell]
Ni 0.000 0.366 0.750 [4 per cell]
Rh 0.000 0.006 0.750 [4 per cell]

Computed properties:
N(E_F) ... 1.2323 states/eV per atom
Total magnetization ... 0.000 Bohr magnetons per cell
Mass density ... 7.49 g/cm3
Energy of formation ... -0.308 eV/atom


(2)
Y2HfMgC | PBE-GGA | relaxed

a = 5.024 Å, b = 5.024 Å, c = 4.488 Å
α = 90.00°, β = 90.00°, γ = 90.00°
Space group P4/mmm (No. 123)
One atom of each set of equivalent atoms:
Y 0.000 0.500 0.000 [2 per cell]
Hf 0.000 0.000 0.500 [1 per cell]
Mg 0.500 0.500 0.500 [1 per cell]
C 0.000 0.000 0.000 [1 per cell]

Computed properties:
N(E_F) ... 0.7166 states/eV per atom
Total magnetization ... 0.000 Bohr magnetons per cell
Mass density ... 5.76 g/cm3
Energy of formation ... -0.220 eV/atom

~~~~~

# 1
A geometry-optimized BeRe2Pt structure. Source: the Alexandria database, functional PBE.

abc: 8.719 8.719 8.719
angles: 18.06 18.06 18.06
Element x y z (fractional)
Re  0.506  0.506  0.506
Re  0.994  0.994  0.994
Be  0.250  0.250  0.250
Pt  0.750  0.750  0.750

Values from the calculation:
calculated formation energy = 153 meV/atom
density of states at the Fermi level = 4.97 states/eV/cell

# 2
A geometry-optimized Be2RePt structure. Source: the Alexandria database, functional PBE.

abc: 8.223 8.223 8.223
angles: 18.94 18.94 18.94
Element x y z (fractional)
Be  0.997  0.997  0.997
Be  0.251  0.251  0.251
Pt  0.508  0.508  0.508
Re  0.744  0.744  0.744

Values from the calculation:
distance to the lowest polymorph of the same formula = 428 meV/atom
calculated formation energy = 128 meV/atom
density of states at the Fermi level = 4.14 states/eV/cell

# 3
A geometry-optimized BeRePt2 structure. Source: the Alexandria database, functional PBE.

abc: 8.474 8.474 8.474
angles: 18.81 18.81 18.81
Last column: magnetic moment on the atom in μB.
Element x y z (fractional)
Pt  0.491  0.491  0.491  0.06
Re  0.250  0.250  0.250  0.41
Pt  0.009  0.009  0.009  0.06
Be  0.750  0.750  0.750  0.00

Values from the calculation:
calculated formation energy = -171 meV/atom
density of states at the Fermi level = 4.58 states/eV/cell

# 4
A geometry-optimized BeRePt structure. Source: the Alexandria database, functional PBE.

abc: 4.066 4.066 4.066
angles: 60.00 60.00 60.00
Element x y z (fractional)
Re  0.000  0.000  0.000
Be  0.500  0.500  0.500
Pt  0.750  0.750  0.750

Values from the calculation:
distance to the lowest polymorph of the same formula = 533 meV/atom
calculated formation energy = 351 meV/atom
density of states at the Fermi level = 3.46 states/eV/cell

# 5
A geometry-optimized BeRePt structure. Source: the Alexandria database, functional PBE.

abc: 4.083 4.083 4.083
angles: 60.00 60.00 60.00
Element x y z (fractional)
Be  0.000  0.000  0.000
Re  0.750  0.750  0.750
Pt  0.500  0.500  0.500

Values from the calculation:
distance to the lowest polymorph of the same formula = 795 meV/atom
calculated formation energy = 613 meV/atom
density of states at the Fermi level = 4.11 states/eV/cell

# 6
A geometry-optimized BeRe2Pt structure. Source: the Alexandria database, functional PBE.

abc: 5.719 4.846 2.698
angles: 89.94 61.97 117.34
Element x y z (fractional)
Pt  0.500  0.500  0.000
Be  0.000  0.500  0.500
Re  0.500  0.000  0.500
Re  0.000  0.000  0.000

Values from the calculation:
calculated formation energy = 151 meV/atom
density of states at the Fermi level = 2.89 states/eV/cell

# 7
A geometry-optimized BeRePt2 structure. Source: the Alexandria database, functional PBE.

abc: 3.926 3.796 3.796
angles: 90.00 90.00 90.00
Last column: magnetic moment on the atom in μB.
Element x y z (fractional)
Pt  0.000  0.500  0.500  0.08
Re  0.500  0.500  0.000  0.72
Pt  0.000  0.000  0.000  0.08
Be  0.500  0.000  0.500  -0.01

Values from the calculation:
........

[Wanted]
Please count the lines earlier on that contain the word "same" and give the number alone.

[Response]
3